
Current & Former Students

Hamza Alawiye

Hamza worked on understanding pattern formation on the surface of growing elastic materials. He is now a Research Scientist at Deep Render.

Christoffer Alexanderson

Christoffer is now a post-doc at UPenn in the Complex Systems lab led by Dani Bassett, and continues to focus on modeling the human brain during disease.

Georgia Brennan

Georgia continues research to advance the understanding of the clearance of toxic proteins in Alzheimer’s disease, now as a post-doc in the GSK-Oxford Institute of Molecular & Computational Medicine.

David Beers

David is interested in applications of TDA to the shape of neurons, stability of the Euler characteristic transform, and inverse problems for persistent homology. He continues this work in Mason Porter’s group at UCLA.

Pavan Chaggar

Pavan is a neuroscientist working on data analysis and modelling of brain atrophy in dementia. He continues this work as a post-doc with Lund University’s MULTIPARK initiative.

Matthew Cotton

Matthew studies how biological membranes form complex shapes, for example via proteins that curve the membrane or consume energy to generate forces. Co-supervised with Professor Ramin Golestanian.

Christian Goodbrake

Christian studies the geometry associated with deforming solids. He now works at the Willerson Center for Cardiovascular Modeling and Simulation (WCCMS), U of Texas at Austin.

Ramón Nartallo-Kaluarachchi

Ramón is a mathematician studying whole-brain computational models and their applications in characterising brain states and the transitions between them. He is co-supervised by Alain Goriely, Renaud Lambiotte and Morten Kringelbach.

Christoforos Kassianides

Christoforos works on establishing a mechanical framework for understanding axon guidance through a combination of multi-scale models and continuum mechanics.

Andrew O’Heachteirn

Misplaced quantum chemistry results:
=====
Formula: C2H9N5
Source: OMol25
Level of theory: ωB97M-V/def2-TZVPD

Summary:
total charge = +2
strongest force on any atom = 5.0 eV/Å
lowest unoccupied orbital energy = -8.16 eV
energy above the lowest of the compared OMol25 structures with the same formula, charge and spin = 3.037 eV
SMILES = N/C=[NH+]/C(N)=N\[NH3+]
highest occupied orbital energy = -19.02 eV
frontier orbital gap = 10.852 eV

Last columns: bonded neighbours and bond lengths (Å).
CARTESIAN COORDINATES (ANGSTROEM)
1 N -2.81 -0.09 -0.76  C2 1.315, H8 1.040, H9 0.997
2 C -1.79 0.31 -0.03  N1 1.315, N3 1.301, H10 1.080
3 N -0.53 0.05 -0.20  C2 1.301, C4 1.738, H11 1.078
4 C 1.01 0.80 0.11  N3 1.738, N5 1.335, N6 1.287
5 N 0.86 2.03 0.61  C4 1.335, H12 1.021, H13 1.012
6 N 2.00 -0.02 0.16  C4 1.287, N7 1.398
7 N 2.35 -1.37 0.17  N6 1.398, H14 1.059, H15 1.046, H16 1.009
8 H -3.83 0.02 -0.59  N1 1.040
9 H -2.56 -0.68 -1.53  N1 0.997
10 H -2.10 1.01 0.74  C2 1.080
11 H -0.38 -0.56 -1.08  N3 1.078
12 H 1.72 2.24 1.12  N5 1.021
13 H 0.30 2.80 0.28  N5 1.012
14 H 2.08 -1.65 1.15  N7 1.059
15 H 2.08 -2.01 -0.61  N7 1.046
16 H 3.34 -1.27 0.35  N7 1.009

----------

(1)
{"formula": "C5H13FNO", "method": "wB97M-V/def2-TZVPD", "species": ["C", "C", "C", "C", "C", "N", "O", "F", "H", "H", "H", "H", "H", "H", "H", "H", "H", "H", "H", "H", "H"], "xyz": [[-2.8120, 0.6237, 1.1675], [-2.2010, -0.0449, -1.1560], [3.3715, 0.5099, -0.6360], [1.0644, 0.3352, -0.2063], [-2.3241, -0.3469, 0.1054], [0.9917, -1.1307, 0.5261], [2.1771, 0.8056, 0.3178], [-2.2409, -1.7046, 0.5522], [-2.8864, 1.6165, 0.6905], [-2.1392, 0.8171, 2.0726], [-3.8290, 0.3909, 1.3747], [-2.1541, 1.0382, -1.3033], [0.2977, 1.0361, 0.3038], [-2.1631, -0.8080, -1.9449], [4.3897, 0.2669, -0.2079], [3.3931, 1.2883, -1.3008], [3.0338, -0.3594, -1.2657], [1.0769, -0.1187, -1.2066], [1.5576, -1.7375, -0.1212], [1.2674, -0.8523, 1.4742], [0.1289, -1.6252, 0.7640]], "lowdin_charge": [-0.033, 0.050, 0.055, -0.213, -0.387, 0.206, -0.137, -0.035, 0.085, 0.106, 0.078, 0.086, 0.176, 0.093, 0.126, 0.059, 0.090, 0.133, 0.174, 0.160, 0.127], "total_charge": 1, "homo_energy_ev": -13.559, "molar_mass_g_mol": 122.2, "gap_ev": 10.121}

=====

(2)
=====
Back to the piece:

Andrew is working on mathematical models of neurodegeneration that account for pathological features of the brain’s microcirculation

Prama Putra

Prama is interested in the mathematical modelling of epidemiological problems. He is now an Assistant Professor in the Faculty of Mathematics and Natural Science, Bandung Institute of Technology, West Java, Indonesia.


Masha Dvoriashyna

Masha is now a Chancellor’s Fellow (equivalent to a Lecturer) at the School of Mathematics, University of Edinburgh.

Yang Liu

Yang is a Marie-Curie Fellow. His research interests include morphoelasticity, bifurcation phenomena (buckling, wrinkling, creasing, folding, etc.) in soft tissues, reduced models of film-substrate structures and liquid crystal elastomers, mechanical metamaterials, and asymptotic analysis in solid mechanics.

Thomas Lessinnes

Thomas is now working at Ecole Polytechnique, Université Libre de Bruxelles

Hadrien Oliveri

Hadrien is now Group Leader at the Max Planck Institute for Plant Breeding Research, Department of Comparative Development and Genetics, Cologne.

Travis Thompson

Travis is now Assistant Professor of Mathematics at Texas Tech University.

Zachary Wilmott

Zach is using viscoelastic and stochastic modelling methods to study various aspects of the centriole division process.



  • Antoine Tholoniat, École Polytechnique
  • Laetitia Eichner, École Polytechnique
  • Félix Benoist, École Normale Supérieure de Cachan